## Activity
Now repeat only the lines further down with the word "method" in them.

## Listing
........
(1)
{
  "formula": "C30H25N5O10",
  "method": "ωB97M-V/def2-TZVPD",
  "symbols": ["C", "C", "C", "C", "C", "C", "N", "O", "O", "H", "H", "H", "H", "H", "C", "C", "C", "C", "C", "C", "N", "O", "O", "H", "H", "H", "H", "H", "C", "C", "C", "C", "C", "C", "N", "O", "O", "H", "H", "H", "H", "H", "C", "C", "C", "C", "C", "C", "N", "O", "O", "H", "H", "H", "H", "H", "C", "C", "C", "C", "C", "C", "N", "O", "O", "H", "H", "H", "H", "H"],
  "coordinates": [[-5.477, -1.957, 7.426], [-4.265, -2.587, 7.624], [-3.171, -2.375, 6.763], [-3.386, -1.620, 5.641], [-4.528, -0.903, 5.489], [-5.541, -1.063, 6.380], [-2.268, -1.454, 4.719], [-1.292, -2.231, 4.823], [-2.339, -0.601, 3.852], [-6.292, -2.170, 8.102], [-4.204, -3.310, 8.425], [-2.218, -2.821, 7.002], [-4.684, -0.196, 4.688], [-6.401, -0.413, 6.332], [-2.322, 1.642, -0.033], [-2.144, 1.442, -1.444], [-1.108, 0.701, -1.957], [-0.050, 0.285, -1.056], [-0.186, 0.542, 0.357], [-1.329, 1.217, 0.841], [1.108, -0.578, -1.575], [1.199, -1.007, -2.773], [2.003, -0.837, -0.764], [-3.271, 2.084, 0.234], [-2.829, 1.815, -2.192], [-0.873, 0.392, -2.965], [0.629, 0.319, 1.030], [-1.497, 1.285, 1.905], [-6.339, 3.324, 2.640], [-7.298, 3.822, 3.466], [-7.331, 3.457, 4.832], [-6.301, 2.757, 5.362], [-5.262, 2.278, 4.557], [-5.319, 2.571, 3.181], [-6.262, 2.653, 6.878], [-7.194, 2.913, 7.614], [-5.276, 2.000, 7.341], [-6.368, 3.219, 1.566], [-8.216, 4.370, 3.314], [-8.110, 3.890, 5.442], [-4.361, 1.905, 5.022], [-4.617, 2.207, 2.445], [3.772, -2.035, -5.446], [3.385, -0.758, -5.750], [3.912, -0.138, -6.877], [5.010, -0.692, -7.553], [5.448, -2.022, -7.220], [4.777, -2.663, -6.182], [5.744, 0.063, -8.636], [5.715, 1.275, -8.572], [6.454, -0.558, -9.383], [3.262, -2.564, -4.655], [2.582, -0.408, -5.119], [3.625, 0.884, -7.074], [6.312, -2.479, -7.680], [4.958, -3.678, -5.859], [6.240, -2.426, -2.191], [5.573, -1.263, -1.775], [5.696, -0.059, -2.445], [6.608, -0.047, -3.548], [7.270, -1.209, -3.989], [7.178, -2.340, -3.279], [6.628, 1.185, -4.446], [5.928, 2.106, -4.114], [7.341, 1.144, -5.354], [6.048, -3.353, -1.672], [4.799, -1.373, -1.031], [5.097, 0.796, -2.169], [7.768, -1.232, -4.948], [7.860, -3.127, -3.566]],
  "lowdin_spin": [0.00, 0.00, 0.00, 0.00, 0.00, 0.00, 0.00, 0.00, 0.00, 0.00, 0.00, 0.00, 0.00, 0.00, 0.00, 0.00, 0.00, 0.00, 0.00, 0.00, 0.00, 0.00, 0.00, 0.00, 0.00, 0.00, 0.00, 0.00, 0.00, 0.00, 0.00, 0.00, 0.00, 0.00, 0.00, 0.00, 0.00, 0.00, 0.00, 0.00, 0.00, 0.00, 0.00, 0.01, 0.01, 0.00, 0.01, 0.00, 0.00, 0.00, 0.00, 0.00, 0.00, 0.00, 0.00, 0.00, 0.30, 0.03, 0.11, 0.29, 0.02, 0.15, 0.02, 0.04, 0.00, 0.01, 0.00, 0.00, 0.00, 0.00],
  "total_charge": 1,
  "relative_energy_kj_mol": 9.54,
  "spin_multiplicity": 2
}

***

(2)
{
  "formula": "C30H25N5O15SV",
  "method": "ωB97M-V/def2-TZVPD",
  "symbols": ["O", "V", "S", "O", "O", "O", "O", "C", "C", "C", "C", "C", "C", "N", "O", "O", "H", "H", "H", "H", "H", "C", "C", "C", "C", "C", "C", "N", "O", "O", "H", "H", "H", "H", "H", "C", "C", "C", "C", "C", "C", "N", "O", "O", "H", "H", "H", "H", "H", "C", "C", "C", "C", "C", "C", "N", "O", "O", "H", "H", "H", "H", "H", "C", "C", "C", "C", "C", "C", "N", "O", "O", "H", "H", "H", "H", "H"],
........

## Outcome
  "method": "ωB97M-V/def2-TZVPD",
  "method": "ωB97M-V/def2-TZVPD",